........
Simulated powder X-ray diffraction pattern of RbAl6H20N5F24 for Cu Ka, from the PBE geometry in the Materials Project.

Atomic structure:
abc: 5.337 5.357 18.715
angles: 89.43 88.87 89.25
Atoms (fractional coordinates):
Rb  0.000  0.000  0.000
Al  0.059  0.538  0.850
Al  0.238  0.347  0.527
Al  0.393  0.116  0.182
Al  0.556  0.006  0.838
Al  0.748  0.854  0.517
Al  0.890  0.605  0.175
H  0.043  0.217  0.301
H  0.043  0.425  0.412
H  0.043  0.506  0.768
H  0.087  0.941  0.649
H  0.112  0.153  0.768
H  0.208  0.647  0.655
H  0.291  0.832  0.588
H  0.393  0.896  0.669
H  0.398  0.415  0.964
H  0.401  0.767  0.370
H  0.473  0.056  0.029
H  0.511  0.699  0.976
H  0.535  0.486  0.043
H  0.713  0.463  0.968
H  0.721  0.571  0.684
H  0.723  0.192  0.301
H  0.736  0.453  0.398
H  0.748  0.343  0.423
H  0.888  0.007  0.357
H  0.910  0.959  0.270
N  0.244  0.830  0.641
N  0.373  0.680  0.322
N  0.538  0.512  0.988
N  0.679  0.382  0.683
N  0.892  0.100  0.307
F  0.021  0.008  0.756
F  0.048  0.490  0.944
F  0.142  0.356  0.172
F  0.145  0.871  0.174
F  0.210  0.337  0.618
F  0.212  0.359  0.419
F  0.307  0.246  0.850
F  0.309  0.772  0.865
F  0.391  0.139  0.274
F  0.401  0.127  0.082
F  0.480  0.106  0.514
F  0.481  0.593  0.517
F  0.513  0.005  0.971
F  0.539  0.936  0.751
F  0.638  0.871  0.174
F  0.641  0.360  0.171
F  0.742  0.855  0.607
F  0.756  0.855  0.424
F  0.766  0.241  0.863
F  0.788  0.768  0.866
F  0.883  0.606  0.267
F  0.891  0.613  0.082
F  0.996  0.104  0.514
F  0.997  0.597  0.515

Main lines, by intensity (5 to 70 degrees two-theta):
2θ 14.2, 6.237 Å, intensity 100; 2θ 25.6, 3.477 Å, intensity 62; 2θ 47.8, 1.902 Å, intensity 53; 2θ 9.5, 9.355 Å, intensity 50; 2θ 33.9, 2.647 Å, intensity 49; 2θ 28.6, 3.118 Å, intensity 45; 2θ 24.1, 3.686 Å, intensity 42; 2θ 27.7, 3.219 Å, intensity 40

Simulated powder X-ray diffraction pattern of Si5C3 for Cu Ka, from the PBE geometry in the Materials Project.

Atomic structure:
abc: 5.595 5.595 5.595
angles: 97.30 97.30 97.30
Atoms (fractional coordinates):
Si  0.000  0.000  0.000
Si  0.178  0.459  0.972
Si  0.336  0.336  0.336
Si  0.459  0.972  0.178
Si  0.972  0.178  0.459
C  0.219  0.779  0.974
C  0.779  0.974  0.219
C  0.974  0.219  0.779

Main lines, by intensity (5 to 70 degrees two-theta):
2θ 16.1, 5.490 Å, intensity 100; 2θ 21.2, 4.200 Å, intensity 65; 2θ 38.8, 2.324 Å, intensity 31; 2θ 34.3, 2.612 Å, intensity 28; 2θ 39.2, 2.298 Å, intensity 16; 2θ 58.1, 1.588 Å, intensity 15; 2θ 37.1, 2.425 Å, intensity 14; 2θ 51.4, 1.777 Å, intensity 11

Simulated powder X-ray diffraction pattern of BaTbEuSbO6 for Cu Ka, from the PBE geometry in the Materials Project.

Atomic structure:
abc: 8.441 8.445 8.474
angles: 90.00 90.00 90.00
Atoms (fractional coordinates):
Ba  0.250  0.250  0.250
Ba  0.250  0.750  0.250
Ba  0.750  0.250  0.750
Ba  0.750  0.750  0.750
Tb  0.000  0.000  0.000
Tb  0.000  0.500  0.500
Tb  0.500  0.000  0.500
Tb  0.500  0.500  0.000
Eu  0.250  0.250  0.750
Eu  0.250  0.750  0.750
Eu  0.750  0.250  0.250
Eu  0.750  0.750  0.250
Sb  0.000  0.000  0.500
Sb  0.000  0.500  0.000
Sb  0.500  0.000  0.000
Sb  0.500  0.500  0.500
O  0.029  0.033  0.735
O  0.029  0.467  0.765
O  0.032  0.735  0.969
O  0.032  0.765  0.531
O  0.236  0.025  0.476
O  0.236  0.475  0.024
O  0.264  0.025  0.024
O  0.264  0.475  0.476
O  0.468  0.735  0.531
O  0.468  0.765  0.969
O  0.471  0.033  0.765
O  0.471  0.467  0.735
O  0.529  0.533  0.265
O  0.529  0.967  0.235
O  0.532  0.235  0.031
O  0.532  0.265  0.469
O  0.736  0.525  0.524
O  0.736  0.975  0.976
O  0.764  0.525  0.976
O  0.764  0.975  0.524
O  0.968  0.235  0.469
O  0.968  0.265  0.031
O  0.971  0.533  0.235
O  0.971  0.967  0.265

Main lines, by intensity (5 to 70 degrees two-theta):
2θ 29.9, 2.989 Å, intensity 100; 2θ 53.1, 1.726 Å, intensity 28; 2θ 42.8, 2.111 Å, intensity 18; 2θ 53.1, 1.724 Å, intensity 14; 2θ 62.1, 1.495 Å, intensity 11; 2θ 42.7, 2.118 Å, intensity 9; 2θ 62.2, 1.493 Å, intensity 5; 2θ 36.8, 2.440 Å, intensity 1
........

Next, search the rows further up for the word "Simulated" and type out each line that has it.

Simulated powder X-ray diffraction pattern of RbAl6H20N5F24 for Cu Ka, from the PBE geometry in the Materials Project.
Simulated powder X-ray diffraction pattern of Si5C3 for Cu Ka, from the PBE geometry in the Materials Project.
Simulated powder X-ray diffraction pattern of BaTbEuSbO6 for Cu Ka, from the PBE geometry in the Materials Project.